Moscow’s Problems in Gearing Up for Geopolitical Competition in Antarctic
Publication: Eurasia Daily Monitor Volume: 18 Issue: 9

Vladimir Putin’s much-ballyhooed plans to project power in the Arctic have attracted widespread notice and sparked serious concerns in many countries, with some like the US committing themselves to building up an icebreaker fleet to be able to challenge Russia in that strategically important region (EDM, May 14, 2020). But far less attention has been paid to the problems Russia faces in building the ships and bases it would need to carry out its plans anytime soon. Its yards have not been able to produce the new generation of icebreakers on time and on budget, its efforts to establish bases along its northern border have fallen short, and the entire effort has been compromised by corruption and now the pandemic (Window on Eurasia, February 22, 2020).
Something similar is happening at the other end of the earth in the Antarctic. Moscow has also announced expansive plans to increase its role there, both to exploit natural resources under the ice and to challenge what it sees as the West’s unfair advantages on that continent and its surrounding waters (EDM, June 9, 2020; EDM, June 24, 2020). Russian analysts and officials are arguing that Russia must reclaim its position in the Antarctic—a position they say should reflect that the continent was explored by Russian sailors 200 years ago—or lose out to other countries and suffer the indignity of doing so (Krizis-Kopilka.ru, January 8).
Attached: materials data:
=====
(1)
Density functional theory data (PBE) for a relaxed structure of ZrGaPt2.

The structure in extended XYZ format:
```
16
Lattice="6.482 0.000 0.000 0.000 6.482 0.000 0.000 0.000 6.482" Properties=species:S:1:pos:R:3 pbc="T T T"
Zr 0.000 0.000 0.000
Zr 0.000 3.241 3.241
Zr 3.241 0.000 3.241
Zr 3.241 3.241 0.000
Ga 1.620 1.620 4.861
Ga 1.620 4.861 1.620
Ga 4.861 1.620 1.620
Ga 4.861 4.861 4.861
Pt 0.000 0.000 3.241
Pt 0.000 3.241 0.000
Pt 1.620 1.620 1.620
Pt 1.620 4.861 4.861
Pt 3.241 0.000 0.000
Pt 3.241 3.241 3.241
Pt 4.861 1.620 4.861
Pt 4.861 4.861 1.620
```

Results
Space group: F-43m
Final energy (eV/atom): -6.604
Crystal system: cubic


(2)
Density functional theory data (PBE) for a relaxed structure of Zr6Ga16Pt7.

The structure in extended XYZ format:
```
29
Lattice="0.000 6.257 6.257 6.257 0.000 6.257 6.257 6.257 0.000" Properties=species:S:1:pos:R:3 pbc="T T T"
Zr 6.257 6.257 2.416
Zr 6.257 2.416 6.257
Zr 10.098 6.257 6.257
Zr 2.416 6.257 6.257
Zr 6.257 10.098 6.257
Zr 6.257 6.257 10.098
Ga 7.778 4.737 4.737
Ga 1.971 1.971 1.971
Ga 4.286 4.286 1.971
Ga 4.286 1.971 4.286
Ga 4.737 4.737 4.737
Ga 7.778 7.778 4.737
Ga 7.778 4.737 7.778
Ga 10.544 8.229 8.229
Ga 1.971 4.286 4.286
Ga 4.737 7.778 4.737
Ga 4.737 4.737 7.778
Ga 7.778 7.778 7.778
Ga 8.229 10.544 8.229
Ga 8.229 8.229 10.544
Ga 10.544 10.544 10.544
Ga 4.737 7.778 7.778
Pt 3.129 3.129 0.000
Pt 3.129 0.000 3.129
Pt 6.257 3.129 3.129
Pt 0.000 3.129 3.129
Pt 3.129 6.257 3.129
Pt 3.129 3.129 6.257
Pt 6.257 6.257 6.257
```

Results
Space group: Fm-3m
Final energy (eV/atom): -5.576
Crystal system: cubic


(3)
Density functional theory data (PBE) for a relaxed structure of Pu2Ga.

The structure in extended XYZ format:
```
6
Lattice="4.592 2.651 7.497 -4.592 2.651 7.497 0.000 -5.302 7.497" Properties=species:S:1:pos:R:3 pbc="T T T"
Pu 0.000 0.000 0.000
Pu -2.288 -1.321 18.701
Pu 2.288 -1.321 18.701
Pu 0.000 2.641 18.701
Ga 0.000 0.000 2.801
Ga 0.000 0.000 19.683
```

Results
Space group: R3m
Final energy (eV/atom): -8.864
Crystal system: trigonal


(4)
Density functional theory data (PBE) for a relaxed structure of PuGa2.

The structure in extended XYZ format:
```
3
Lattice="4.557 0.000 0.000 -2.279 3.947 0.000 0.000 0.000 3.412" Properties=species:S:1:pos:R:3 pbc="T T T"
Pu 0.000 0.000 0.000
Ga 0.000 2.631 1.706
Ga 2.279 1.316 1.706
```

Results
Space group: P6/mmm
Final energy (eV/atom): -7.177
Crystal system: hexagonal


(5)
Density functional theory data (PBE) for a relaxed structure of RbPuGa.

The structure in extended XYZ format:
```
12
Lattice="7.687 0.000 0.000 0.000 7.687 0.000 0.000 0.000 7.687" Properties=species:S:1:pos:R:3 pbc="T T T"
Rb 0.000 0.000 0.000
Rb 0.000 3.843 3.843
Rb 3.843 0.000 3.843
Rb 3.843 3.843 0.000
Pu 0.000 0.000 3.843
Pu 0.000 3.843 0.000
Pu 3.843 0.000 0.000
Pu 3.843 3.843 3.843
Ga 1.922 1.922 5.765
Ga 1.922 5.765 1.922
Ga 5.765 1.922 1.922
Ga 5.765 5.765 5.765
```

Results
Space group: F-43m
Final energy (eV/atom): -5.454
Crystal system: cubic


(6)
=====
So much for the materials data:
Moscow undoubtedly will be able to achieve something in this direction, but as in the Arctic, it has so far faced difficulties that call into question how soon and how much. Six years ago, the Russian government decided it needed to replace its aging Antarctic monitoring center it had established more than 60 years ago. But as important as this task is for Vladimir Putin, the Russian government found that it did not have the money to pay for it. Consequently, it turned to Russian oligarch Leonid Mikhelson who agreed to pay for the construction of modules for a new Antarctic facility if the Russian government would take responsibility for delivering and installing them (Meduza.io, December 16, 2020.)
Mikhelson kept his promise, but the Russian government has not been able to keep its pledge. The modules were constructed in Russia and loaded on one of the much-celebrated new atomic-powered Russian icebreakers. But that ship did not make it to the southern polar region as planned. Instead, off the coast of Africa at the end of 2020, the Sevmorput’s propeller broke off, and the icebreaker was dead in the waters for weeks before engineers were able to fix the ship enough for it to limp back to the docks in St. Petersburg. Having arrived there, however, the ship’s problems have continued. The difficulties that have plagued shipyards in the northern capital along with the pandemic, which has hit St. Petersburg hard, have so delayed refitting the vessel that Russian media now say there is no chance that it will put to sea this season or be able to deliver the modules for the replacement base sooner than a year from now (Kommersant.ru, November 26, 2020; NPlus1.ru, December 7, 2020).
This is yet another embarrassment that Moscow has not talked much about, which means that Russia is not only losing its ability to monitor the weather originating in the Antarctic—something it needs to develop its shipping and fishing industries in the southern oceans—but it is also not gaining the leg up it has hoped for to explore for uranium and other natural resources under the ice (Krizis-Kopilka.ru, January 8). That has prompted Moscow to look in another direction, with some Russian officials convinced they can check what they see as a Western effort to freeze Moscow out of the region by allying their country more closely with China and using diplomatic means. Beijing, they argue, has a common interest with Moscow in developing fishing in the seas around Antarctica and because of the Law of the Sea Treaty, which the US has not ratified. (SVpressa.ru, October 26, 2020).
One move on this legal front that some in Moscow have long been considering is abandoning the international protocol governing the exploitation of natural resources of Antarctica. Adopted in October 1991, that agreement can be abrogated if one or more of the powers, which include Russia, leave it. One Russian analyst, Aleksey Kupriyanov, argues that Russia must be prepared for the collapse of the accord even if it does not initiate that process itself; and he urges Moscow to explore the establishment of military bases in the Indian Ocean to support power projection into the Antarctic (Profile.ru, September 2, 2019). Moscow has not made much progress in that direction; but according to Kupriyanov, there is reason for optimism: officials in Moscow are in fact thinking about these longer-term possibilities while those in other major capitals are not. That gives Russia a real chance to overcome its difficulties by staging an end run around the West.
Another Moscow analyst, Andrey Koshkin of the Russian Economics University, argues that Russia has no choice but to do so and for a reason many have not focused on. According to him, the West is now using tactics in the southern polar regions that it will apply to the Arctic if it succeeds. Because the Arctic is so much more important to Russia but it needs time to develop its infrastructure there, Moscow must at least delay Western activity in Antarctica until it is actually ready to defend its interests in the north (SVpressa.ru, October 26, 2020). This linking of the Arctic and the Antarctic as a common security interest almost certainly means that Moscow will continue to try to project power into the southern polar regions in the next year, even though the problems it faces in both places make it unlikely that Russia will be anything as successful as its boosters like to suggest and many in the West clearly fear.